The App Store Keeps Changing

The App Store Keeps Changing

Hi, this is Wayne again with a topic “The App Store Keeps Changing”.
Apple has further loosened some restrictions on iOS. It’S actually been really interesting. Ever since the EU Crackdown and now the US antitrust how quickly apple is running around trying to be like, ah um. Well, no, no, like we’re not a Apple, has further loosened. Some restrictions on iOS, including now allowing Retro Game emulators on the IOS, app store and reforming its pairs pairing.

It’S pairs, pairing system, it’s pairing system to allow more devices to be salvaged for parts. This is pretty cool news. Remember we talked recently about how we you know you, you never report on the good stuff right. It’S always about the this is good.

Yeah apple never had a formal rule against emulators, but it barred apps that ran external code, which included emulators apple, is now explicitly allowing emulators, though they will need to be age rated in accordance with the most explicit content available for them and and they must comply With all relevant laws regarding emulation, what was that old game? Leisure Suit, Larry yeah? So I knew where he’s going. That’S going to screw up all the emulators yeah uh anywh, who the changes primarily due to recent regulatory changes in Europe so yeah. I said that Apple was changing things, but realistically, what’s happening is Apple is finally being forced to play nice. Um Apple has also announced that it will be working on a new framework to allow customers and independent repair shops to use more existing parts from used devices.

The App Store Keeps Changing

Rather than blocking their use with software locks under the assumption that the salvaged device has been stolen, Apple says this new system will still protect users privacy. This will also include calibration for used parts after they are installed, so basically they are finally walking back. Some of the pairing that they’ve been requiring so there was this whole thing with batteries and with screens where you could take two perfectly working iPhones take them apart, switch their screens, boot them back up and you’d, get like a depending on the part. You’D get an air message or you would get hindered functionality.

The App Store Keeps Changing

It’S almost like. It was never about privacy at all. Isn’T it yeah cuz now now that it’s allowed they’re like we can do it without compromising privacy? It almost never is it’s almost like. That was the point.

The App Store Keeps Changing

The whole time was that they could, or that was what they could have done the whole time. It’S almost like this whole thing was just made up: yeah wow, really yeah. You don’t say with that said. This is really funny um, some Apple Fans don’t seem to appreciate some of their new freedoms.

Inserted here: data records:
+++
# 1
CePmHo2Se4: relaxed, PBE.

**Uncorrected formation energy**: -1.785 eV per atom
**Size of the total moment**: 0.128 μB/atom
**Symmetry**: P2/m (10)

a b c (Å): 4.0802 7.2540 7.1013
angles (deg): 71.14 90.00 90.00
Closest atoms and distances in Å follow each position.
Fractional positions:
Pm  0.0000  0.5000  0.5000  6 Se 2.97
Ho  0.0000  0.0000  0.0000  6 Se 2.87
Ho  0.5000  0.0000  0.5000  6 Se 2.86-2.87
Se  0.5000  0.2368  0.7544  3 Ho 2.87, 1 Ce 2.97, 2 Pm 2.97
Se  0.0000  0.7635  0.7452  3 Ho 2.86-2.87, 1 Pm 2.97, 2 Ce 2.98
Se  0.5000  0.7632  0.2456  3 Ho 2.87, 1 Ce 2.97, 2 Pm 2.97
Se  0.0000  0.2365  0.2548  3 Ho 2.86-2.87, 1 Pm 2.97, 2 Ce 2.98
Ce  0.5000  0.5000  0.0000  6 Se 2.97-2.98


# 2
GeTeI: relaxed, PBE.

**Uncorrected formation energy**: -0.117 eV per atom
**Size of the total moment**: 0.000 μB/atom
**Symmetry**: P-1 (2)

a b c (Å): 7.1916 8.7294 11.4589
angles (deg): 119.42 139.09 35.27
Closest atoms and distances in Å follow each position.
Fractional positions:
I  0.2694  0.7800  0.0442  1 Ge 2.62
I  0.3816  0.6231  0.3892  1 Ge 2.62
Ge  0.3502  0.5314  0.5571  1 I 2.62, 3 Te 2.70-2.78
Ge  0.3006  0.8716  0.8760  1 I 2.62, 3 Te 2.70-2.79
Te  0.0496  0.3461  0.9339  3 Ge 2.70-2.79
Te  0.6011  0.0571  0.4993  3 Ge 2.70-2.78


# 3
CeDySi2: relaxed, PBE.

**Uncorrected formation energy**: -0.455 eV per atom
**Size of the total moment**: 0.000 μB/atom
**Symmetry**: R-3m (166)

a b c (Å): 4.2004 4.2004 7.0431
angles (deg): 72.65 72.65 60.00
Closest atoms and distances in Å follow each position.
Fractional positions:
Si  0.2491  0.2491  0.2526  3 Ce 2.93, 3 Dy 2.94
Si  0.7509  0.7509  0.7474  3 Ce 2.93, 3 Dy 2.94
Ce  0.5000  0.5000  0.5000  6 Si 2.93
Dy  0.0000  0.0000  0.0000  6 Si 2.94


no.,raw total energy (eV per formula unit)
1,-48.06
2,-9.66
3,-23.20
+++

This is great thanks to the EU. We have one more screen during the iPhone onboarding clown. Oh no, not everyone knows what a more browser is far from it.

Why not ask for a default music player default mail app default camera app while we’re at it unironically? That’S a really good idea. Is it I don’t know. I don’t know if I care about that.

Personally, I I think for music player. I don’t I don’t know if I care about camera app like they like this. As far as I can tell, this, is them effectively exposing like the App Store as part of the opening your phone like this is. This is part of the um. The you can’t have Safari just be the only thing on iOS crack yeah, but they’re saying it’s uh, the onboarding. Personally, I don’t necessarily think that this needs to be part of the onboarding.

It just needs to be something that you can do. Oh sure, um sure, that’s fair enough. I mean honestly, I don’t mind it at onboarding um. I I don’t know if I want every single thing that my phone can do.

I I I don’t necessarily want to make a choice where it now downloads that app or whatever instantly, when I’m trying to set up a new device. That sounds compromise kind of annoying one screen where it has all the default apps you can click into them and change them or you can go all the way down and go continue. I’M on board compromise give me that skip button and and then I don’t care yeah because like what, if I am an Apple user, that’s just like yeah. I just want all the Apple stuff which there’s going to be tons of them and that’s the whole thing that a lot of the people who argue for Apple’s, Walled, Garden and Apple’s, anti-competitive and anti-consumer practices will say they’ll say well, I just want. I don’t want to pick. I just want them to tell me what’s good, they still can and you can still just use whatever Apple tells you to use it’s okay, it’s fine! I find it interesting. That Chrome is at like the bottom of the list. Well, I mean no one said Apple.

Couldn’T maliciously comply, I will say uh I’ve been using. I don’t know if I’ve talked about this on the show ever I’ve been using the Firefox mobile browser for like a decade never had a single problem. It’S fantastic. I have my my uh, like URL bar search bar stuff is at the bottom.

I prefer that a ton it’s a user setting, it’s stuck for like years. It’S great, I love Firefox mobile. That’S all I have to say that’s it. Someone was surprised they’re like wait.

What is that? They saw my phone and they’re like what is that I was like it’s my browser they’re like what do you mean? It doesn’t look like Chrome. I was like it’s not Chrome. It’S Firefox they’re like use Firefox from like yeah. It’S great.

I don’t know you’re a liar, no, I’m not everyone who uses Firefox lies. You told me that no, no, no, no, all the people, not all the people, the cont. The context for that was.

We did a poll on float plane during the W show asking what percentage of people used Firefox and I just knew and then Luke not right, went into our logs for the actual access. Well, not me, AJ did sorry. Aj uh went into our logs for the percentage of float plane, users that use Firefox and those numbers were not similar, not even sort of close and like some people are like.

Oh yeah, you can spoof what browser it is, and some people do this for compatibility, because a site will say that it doesn’t work with Firefox, but if you just tell it that you’re actually using Chrome instead, it will actually work. Just fine uh there’s pretty much. No way the amount of people that do that make up the Gap um I can’t say for sure, but pretty much no way. This is totally off topic, but do you make that PLL dad is LCA fire? The options are yes and yes, but I use Firefox. They like their polls. This is amazing.

I get weird with them when we do the super checks after party the flo Lan exclusive stream, oh really, yeah uh, we every single time you well like who’s, going to win the round and they just get strange. I should look into that. We have a we have a view where we can see every poll ever made and who made? Oh really.

I didn’t know that yeah. I should be more careful, yeah um. This is just totally off topic, but I was I was looking at the chats and I’m obviously mostly looking at float. Plane chat, but twitch chat is upset because there’s another ad break. This is really weird, so someone here turned on ads on Twitch and like really intrusively um, and I turned them off and then someone here I think Colton. I know yes, Colton Colton turned them back on and said: don’t touch that setting anymore we’re having ads on on Twitch, and I think they run every 20 minutes for some reason, even though the L show gets interrupted, every 20 minutes on Twitch for an ad break And there are no ad breaks on any other platform where it broadcasts. Obviously, I’m not going to expect everyone to move over to float plane where there’s a monthly subscription does YouTube not ad break during live streams.

There are, we do not have them enabled on YouTube. Oh they’re not enabled I and they’re not on Facebook for sure we also stream on Facebook. What is it about the experience of watching on Twitch? That makes it so that no no hold on hold on nobody has abandoned it. In spite of the ad breaks that are not on other platforms like our viewership is basically the same as it always is.

I have a theory as much as I hate it despise. It even the people want a smaller internet. They want to just stay on the sites that they use and if they’re twitch frogs instead YouTube users they’re just going to stay there, they will not have Alternatives. It sucks.

We had this really cool internet where there was all these unique cool websites where people would do neat things, and now there’s like like people use like five websites and yeah. Oh there’s more than five websites that are possible. I mean individuals like there’s it’s very common, that individual people will not navigate to more than a very, very small handful of websites, they’ll be like yeah, I’m a Reddit and Facebook and Twitter user, and I Google things sometimes and that’s it yep. I can see that .